Salopek & Associates Ltd. is committed to providing quality HR policies, manuals and guides (products) for your use.
Purchased products are downloadable and will be emailed to you upon purchase. This email will include the purchased product in Microsoft Word, a sample document in PDF for your reference, and a Letter from Salopek & Associates thanking you for your purchase. If you create an account with Salopek & Associates, your purchases will also be downloadable through your account and a record of your purchases will be maintained for future reference.
All payments are due prior to receipt of purchase. All purchases are non-refundable due to the nature of the product. If a payment is not received or payment method is declined, the buyer forfeits the ownership of any products purchased.
Your information is collected by PayPal solely for the purpose of purchasing and receiving a specific product. Your information is not stored by Salopek & Associates and will not be used for any other purpose. We will not add you to our mailing list upon your purchase. To receive our HR Tips and Industry News Articles you can sign up at the bottom of the Salopek & Associates website Home Page.
• Misplaced crystal structures:
-- begin --
Starting from a structure optimized by DFT (GGA+U), the X-ray powder pattern of Sr2SmCrO6 was simulated for copper Kα.

Most intense lines, 15° ≤ 2θ ≤ 90°, in order of rising 2θ:
Position (°2θ), I/Imax
18.55, 11
30.52, 100
35.95, 11
43.71, 33
47.86, 7
54.24, 39
63.53, 20
72.11, 18
80.29, 6
88.27, 21

Structure:
Unit cell a=5.8579 b=5.8579 c=5.8579 alpha=60.00 beta=60.00 gamma=60.00
Element x y z (fractional)
Sr (0.2500, 0.2500, 0.2500)
Sr (0.7500, 0.7500, 0.7500)
Sm (0.0000, 0.0000, 0.0000)
Cr (0.5000, 0.5000, 0.5000)
O (0.2722, 0.2722, 0.7278)
O (0.2722, 0.7278, 0.2722)
O (0.2722, 0.7278, 0.7278)
O (0.7278, 0.2722, 0.2722)
O (0.7278, 0.2722, 0.7278)
O (0.7278, 0.7278, 0.2722)

***

Starting from a structure optimized by DFT (GGA+U), the X-ray powder pattern of ThMo2O9 was simulated for copper Kα.

Most intense lines, 15° ≤ 2θ ≤ 90°, in order of rising 2θ:
Position (°2θ), I/Imax
16.79, 42
17.53, 56
18.12, 34
22.76, 53
23.87, 22
24.06, 45
24.67, 100
27.80, 72
29.39, 52
47.74, 30

Structure:
Unit cell a=7.4096 b=10.6855 c=9.8076 alpha=90.00 beta=93.35 gamma=90.00
Element x y z (fractional)
Th (0.2267, 0.0396, 0.2391)
Th (0.2267, 0.4604, 0.7391)
Th (0.7733, 0.5396, 0.2609)
Th (0.7733, 0.9604, 0.7609)
Mo (0.1206, 0.7318, 0.0015)
Mo (0.1206, 0.7682, 0.5015)
Mo (0.2936, 0.0971, 0.8210)
Mo (0.2936, 0.4029, 0.3210)
Mo (0.7064, 0.5971, 0.6790)
Mo (0.7064, 0.9029, 0.1790)
Mo (0.8794, 0.2318, 0.4985)
Mo (0.8794, 0.2682, 0.9985)
O (0.0118, 0.6702, 0.3747)
O (0.0118, 0.8298, 0.8747)
O (0.0546, 0.1548, 0.4083)
O (0.0546, 0.3452, 0.9083)
O (0.0684, 0.0608, 0.7556)
O (0.0684, 0.4392, 0.2556)
O (0.2496, 0.6643, 0.6134)
O (0.2496, 0.8357, 0.1134)
O (0.2567, 0.6167, 0.9204)
O (0.2567, 0.8833, 0.4204)
O (0.3000, 0.0876, 0.0034)
O (0.3000, 0.4124, 0.5034)
O (0.3494, 0.2478, 0.2630)
O (0.3494, 0.2522, 0.7630)
O (0.3630, 0.1134, 0.4601)
O (0.3630, 0.3866, 0.9601)
O (0.4511, 0.5136, 0.2590)
O (0.4511, 0.9864, 0.7590)
O (0.5489, 0.0136, 0.2410)
O (0.5489, 0.4864, 0.7410)
O (0.6370, 0.6134, 0.0399)
O (0.6370, 0.8866, 0.5399)
O (0.6506, 0.7478, 0.2370)
O (0.6506, 0.7522, 0.7370)
O (0.7000, 0.5876, 0.4966)
O (0.7000, 0.9124, 0.9966)
O (0.7433, 0.1167, 0.5796)
O (0.7433, 0.3833, 0.0796)
O (0.7504, 0.1643, 0.8866)
O (0.7504, 0.3357, 0.3866)
O (0.9316, 0.5608, 0.7444)
O (0.9316, 0.9392, 0.2444)
O (0.9454, 0.6548, 0.0917)
O (0.9454, 0.8452, 0.5917)
O (0.9882, 0.1702, 0.1253)
O (0.9882, 0.3298, 0.6253)

***

Starting from a structure optimized by DFT (GGA+U), the X-ray powder pattern of CaCo6O2F10 was simulated for copper Kα.

Most intense lines, 15° ≤ 2θ ≤ 90°, in order of rising 2θ:
Position (°2θ), I/Imax
25.83, 100
27.55, 58
31.89, 20
33.81, 17
35.22, 48
38.11, 21
39.81, 17
43.04, 16
51.89, 19
53.09, 24

Structure:
Unit cell a=4.7547 b=4.7547 c=11.4375 alpha=95.72 beta=95.72 gamma=93.03
Element x y z (fractional)
Ca (0.0000, 0.0000, 0.0000)
Co (0.3460, 0.3460, 0.7912)
Co (0.3481, 0.3481, 0.2696)
Co (0.3749, 0.3749, 0.5282)
Co (0.5378, 0.5378, 0.0691)
-- stop --
All products are strictly non-transferable and non-assignable and may only be used by the sole organization in which the individual purchasing the document works for or owns at the time of download. If an individual works for multiple organizations, they must purchase a separate document for each organization they are planning on using the document for. Only one document is permitted for each organization, and documents can not be used for multiple organizations, people or clients. The individual making the purchase understands that the rights to use this document are with the sole organization at date/time of download and can not transfer, or share documents when leaving the organization.
Any complaints about products or services can be made to We appreciate all feedback and will take any complaints into consideration.
Salopek & Associates is not responsible for any policy becoming outdated due to legislative changes following the purchase of a policy. Salopek & Associates will conduct a quarterly review of all products and update in accordance with legislation to ensure all saleable products are current. The buyer is responsible for ensuring policies continue to stay up to date with legislation following purchase. Salopek & Associates will assist with adaptation and implementation of your purchase but will not be held legally responsible for any changes made without the assistance of one of Salopek & Associates’ HR Consultants.
Automatic Email Subscription Opt-In
By agreeing to the Terms & Conditions, you give Salopek & Associates permission to add your email and contact information to our subscription lists to receive important updates on your e-store account and/or receive our monthly newsletter. All contact information will be kept secure and private. If you choose to no longer receive emails from Salopek & Associates, you can unsubscribe at anytime by clicking the “unsubscribe” button at the bottom of the email.
These terms and conditions are subject to change.